What Does Slippage Mean In Trading?

What Does Slippage Mean In Trading?

Traders with even minimal experience on the stock market would have noticed that the prevailing market price and the actual price documented in the order can be different, even for the most liquid of stocks. 

This phenomenon is called ‘slippage’ and is a common occurrence on the stock market. While the markets are generally quite efficient, this efficiency is never perfect, which causes slippages to happen in any type of order. 

In trading, slippage refers to the difference between the expected price of a trade and the price at which the trade is actually executed. It is especially common in highly volatile markets, as the price moves at breakneck speeds and can change right before you press the ‘Buy’ button on your trading platform. 

Slippage can vary considerably between stocks. For instance, a S&P 500 stock is less likely to have a high slippage than that of a startup that entered the market via a SPAC merger. 

If you are a beginner trader and would like to know more about what slippage is and how to minimize it, this Investfox guide is for you. 

How Slippage Works In Trading

Slippage can have both positive and negative impacts on a trader's performance. Positive slippage occurs when the trade is executed at a more favorable price than expected, while negative slippage occurs when the trade is executed at a less favorable price.

Slippage depends on a few key factors that make each security different in terms of slippage and overall liquidity, which is why certain stocks and currency pairs are more favorable for day-trading than others. 

Some of the most important factors that contribute to slippage include:

  • Market Volatility: In highly volatile markets, prices can change quickly, leading to slippage as the execution price may differ from the expected price
  • Liquidity: Slippage tends to be more significant in less liquid markets where there are fewer buyers and sellers. In such cases, large orders may cause substantial price movements
  • Order Size: Larger orders may experience more slippage, as they can exhaust the available liquidity at a particular price level
  • Market Orders: Market orders, which are orders to buy or sell at the best available price, are more prone to slippage. This is because the actual execution price can be different from the displayed price when the order is placed
  • News or Events: Sudden news announcements or significant events can lead to rapid price changes, resulting in slippage

How To Minimize Slippage When Trading

The entry is interrupted by records of molecules
'''
{"formula": "C3H7N2O2", "method": "the ωB97M-V functional and the def2-TZVPD basis", "symbols": ["C", "C", "C", "N", "N", "O", "O", "H", "H", "H", "H", "H", "H", "H"], "positions_angstrom": [[-3.30, 0.04, -0.09], [0.11, -0.47, 1.23], [0.73, 0.45, 0.47], [-2.47, 0.16, -0.97], [2.67, 0.12, 0.02], [-3.98, 0.06, 0.85], [-0.09, -0.47, -0.23], [0.42, -1.40, 1.56], [0.75, 1.50, 0.10], [-1.23, -0.15, -0.67], [-2.57, 0.13, -2.04], [2.85, -0.91, 0.15], [3.29, 0.71, 0.58], [2.83, 0.23, -0.97]], "total_charge": 1, "mol_weight_g_mol": 103.10, "lumo_energy_ev": -3.274, "de_lowest_kj_mol": 522.0, "homo_lumo_gap_ev": 8.96, "largest_force_ev_per_a": 4.1}


{"formula": "C4H9N4", "method": "the ωB97M-V functional and the def2-TZVPD basis", "symbols": ["C", "C", "N", "N", "N", "C", "N", "C", "H", "H", "H", "H", "H", "H", "H", "H", "H"], "positions_angstrom": [[-2.44, -0.91, -0.16], [-1.20, -0.09, -0.03], [-0.11, -0.78, -0.04], [1.11, -0.13, -0.35], [2.18, -0.84, 0.27], [1.21, 1.29, -0.30], [0.03, 1.91, 0.24], [-1.09, 1.34, 0.13], [-3.17, -0.37, -0.91], [-2.82, -1.23, 0.80], [-2.18, -1.95, -0.44], [2.56, -0.30, 1.05], [2.89, -1.18, -0.39], [1.77, -1.75, 0.64], [1.12, 1.47, -1.31], [2.06, 1.61, 0.30], [-1.92, 1.92, 0.49]], "total_charge": 1, "mol_weight_g_mol": 113.14, "lumo_energy_ev": -4.167, "de_lowest_kj_mol": 414.0, "smiles": "CC1=NN([NH3+])CN=C1", "homo_lumo_gap_ev": 9.05, "largest_force_ev_per_a": 2.9}


{"formula": "ClH2OPS2", "method": "the ωB97M-V functional and the def2-TZVPD basis", "symbols": ["O", "P", "S", "S", "Cl", "H", "H"], "positions_angstrom": [[0.76, 0.54, -1.36], [-0.79, -0.26, -0.02], [-1.89, -1.62, -0.61], [0.64, -0.68, 1.39], [-1.40, 1.59, 0.14], [1.60, -0.06, -1.36], [1.08, 0.49, 1.82]], "multiplicity": 3, "mol_weight_g_mol": 148.58, "lumo_energy_ev": [0.192, -3.318], "de_lowest_kj_mol": 153.0, "s2": 2.0093, "homo_lumo_gap_ev": [6.30, 6.39], "largest_force_ev_per_a": 4.1}
'''

There are a few ways to minimize the impact of slippage on your trades. The first, and the most obvious method, is to focus your attention on highly liquid instruments, which includes large-cap stocks and major currency pairs, which tend to be less volatile and enjoy a stable stream of liquidity on their respective markets. 

Another way of reducing slippage is to place limit orders on specific prices, which makes sure that the order is filled at the limit price only. 

For example, if the price of Amazon stock (AMZN) is hovering between $146.05 and $146.30 over a space of a few minutes. Placing a limit buy order at $146.20 can help you reduce slippage and only buy at that specific price, at which point your slippage may be a couple of cents. Of course, this also depends on the amount of shares you are buying. If you choose to buy a large volume of shares, this will also affect the going market price of the stock. 

amzn stock.png

Key Takeaways From What Does Slippage Mean In Trading

  • Slippage is a trading term used to describe the difference between the market price of an instrument and the actual price at which a trade order is executed
  • The degree of slippage depends on several factors, such as liquidity, volatility, and the order type used by the trader
  • To minimize the effects of slippage in stock and forex trading, traders can resort to trading instruments with high liquidity and do so using limit orders set at specific price points 

FAQ On Slippage In Trading

Is a high slippage bad in trading?

High slippage can be detrimental in trading as it may lead to larger-than-expected losses or reduced profits. Minimizing slippage is crucial for achieving more accurate trade executions and better alignment with a trader's intended entry or exit points.

How to reduce slippage in forex trading?

To reduce slippage in forex trading, use limit orders instead of market orders, especially during volatile periods. Monitor market liquidity, trade during high-liquidity periods, and consider using advanced order types and risk management strategies.

Can limit orders stop slippage?

Yes, limit orders can help minimize slippage by allowing traders to specify the maximum price at which they are willing to buy or the minimum price at which they are willing to sell, reducing the impact of unexpected price changes during execution.